As my pickup bounced along the country backroad, I found myself stealing glances at Reagan sitting next to me on the bench seat just about every two seconds. With every rut or bump in the road, I worried the ride would be too much for her. When I’d thought about bringing her out here, I hadn’t factored in the terrain after her rough night.
**Records of molecules from another source follow**
/*
3 unconnected molecules or ions with the total composition C32H65FN4O5S3 in a non-equilibrium geometry. Source: OMol25; level of theory: the ωB97M-V functional and the def2-TZVPD basis.

Net charge: 0
Lowest unoccupied orbital energy, eV: -0.53
SMILES string: CCCCCCCCN(CCCCCCCC)C(=S)SCCC[C@@H]1C[C@H](F)OS(=O)(=O)[C@@H]1NCC.CNC(C)=O.CNC(C)=O
Orbital gap, eV: 8.20

Last columns: bonded neighbours and bond lengths (Å).
CARTESIAN COORDINATES (ANGSTROEM)
1 C 1.6029 3.0361 4.8418  C2 1.640, H36 1.185, H37 1.185, H38 1.181
2 C 2.9067 3.8619 4.2864  C1 1.640, C3 1.640, H39 1.187, H40 1.182
3 C 2.6087 5.4418 3.9609  C2 1.640, C4 1.640, H41 1.193, H42 1.186
4 C 1.4499 5.7117 2.8330  C3 1.640, C5 1.661, H43 1.192, H44 1.188
5 C 1.5797 4.7408 1.4913  C4 1.661, C6 1.645, H45 1.191, H46 1.170
6 C 0.2747 4.8241 0.4927  C5 1.645, C7 1.639, H47 1.194, H48 1.193
7 C 0.5757 4.4356 -1.0704  C6 1.639, C8 1.673, H49 1.193, H50 1.185
8 C 1.4575 3.0254 -1.2482  C7 1.673, N9 1.508, H51 1.194, H52 1.185
9 N 0.7029 2.1419 -2.2098  C8 1.508, C10 1.506, C18 1.512
10 C 1.4629 0.9138 -2.6368  N9 1.506, C11 1.635, H53 1.194, H54 1.174
11 C 2.8835 0.6454 -1.8742  C10 1.635, C12 1.673, H55 1.170, H56 1.188
12 C 3.3380 -0.9132 -2.2764  C11 1.673, C13 1.672, H57 1.176, H58 1.172
13 C 4.0894 -1.5211 -0.9116  C12 1.672, C14 1.659, H59 1.192, H60 1.177
14 C 4.9041 -2.9273 -1.2462  C13 1.659, C15 1.645, H61 1.174, H62 1.180
15 C 4.4532 -4.0132 -0.0960  C14 1.645, C16 1.643, H63 1.187, H64 1.182
16 C 5.6459 -5.0904 0.2456  C15 1.643, C17 1.657, H65 1.183, H66 1.182
17 C 5.9653 -5.0225 1.8704  C16 1.657, H67 1.193, H68 1.178, H69 1.183
18 C -0.6147 1.6451 -1.6602  N9 1.512, S19 1.726, S20 1.911
19 S -0.9991 1.5012 0.0160  C18 1.726
20 S -1.9024 1.1189 -2.9704  C18 1.911, C21 1.889
21 C -3.6470 1.4906 -2.3490  S20 1.889, C22 1.673, H70 1.178, H71 1.193
22 C -4.4792 0.1058 -1.9162  C21 1.673, C23 1.636, H72 1.171, H73 1.194
23 C -6.0654 0.1655 -2.3104  C22 1.636, C24 1.642, H74 1.192, H75 1.193
24 C -7.0731 0.6630 -1.1133  C23 1.642, C25 1.638, C32 1.673, H76 1.196
25 C -6.5552 1.9593 -0.2567  C24 1.638, C26 1.642, H77 1.169, H78 1.194
26 C -7.0587 2.0131 1.3051  C25 1.642, F27 1.512, O28 1.471, H79 1.195
27 F -6.1739 1.2175 2.2374  C26 1.512
28 O -8.4884 1.7311 1.5094  C26 1.471, S29 1.704
29 S -8.9360 0.1828 0.9558  O28 1.704, O30 1.558, O31 1.579, C32 1.894
30 O -9.4548 -0.7699 2.0735  S29 1.558
31 O -10.1728 0.4112 0.0010  S29 1.579
32 C -7.6100 -0.5952 -0.1496  C24 1.673, S29 1.894, N33 1.509, H80 1.193
33 N -6.5036 -1.2935 0.6023  C32 1.509, C34 1.525, H81 1.043
34 C -6.9540 -2.6194 1.2067  N33 1.525, C35 1.648, H82 1.193, H83 1.181
35 C -6.5555 -2.8030 2.7948  C34 1.648, H84 1.180, H85 1.172, H86 1.193
36 H 1.9410 1.9075 4.9677  C1 1.185
37 H 0.7227 3.0200 4.0488  C1 1.185
38 H 1.2039 3.4335 5.8794  C1 1.181
39 H 3.2774 3.3439 3.2843  C2 1.187
40 H 3.8025 3.7546 5.0494  C2 1.182
41 H 2.2384 5.9281 4.9859  C3 1.193
42 H 3.6179 5.9940 3.6730  C3 1.186
*/
**Back to the page**
“Are you sure you’re okay?” I asked for the half dozenth time.
“No.” She shook her head, her gaze focused straight ahead. “I’m not.”
I immediately pulled the truck to the side of the road. “I’m so sorry. I shouldn’t have—”
“I’m joking!” She chuckled. “I’m fine. Seriously. You don’t have to keep asking me that. If I’m not okay, for any reason, you’ll be the first to know. I promise.”
Her blue eyes sparkled, reflecting the sunlight pouring in through the windshield and leaving me speechless. Well, not speechless, really—I had a lot of things to say; I just knew she wouldn’t want to hear any of them. I wanted to tell her that I was mesmerized by everything about her. I felt the need to vocalize how she had me hypnotized. But she’d been clear that she didn’t want to hear any “pretty words.”
“What?” Her eyes widened as her fingers brushed her cheek. “Do I have something on my face?”
“Yeah. Me.” I leaned over and, just before our mouths touched, she closed her eyes and her breath hitched.
The kiss started off soft and slow. I pulled her bottom lip between mine, sucking on it gently and a moan vibrated through it. I cupped her face, tilting her head to give me better access, and arousal shot through me. As badly as I wanted to deepen the kiss, to taste her tongue, I knew that if I didn’t stop this now things would go too far.
Would it be fun to strip her out of her clothes and take her on the side of the road? Sure.
Was that how I wanted our next time to be? No.
The next time we had sex might not mean anything significant to Reagan, but it held a hell of a lot of significance to me. It would be our third time together. She would be the first person that I would be breaking my two-fuck limit for. I wanted it to be special.
My body screamed in protest as I leaned back, breaking our kiss. Her mouth was swollen and her eyes were glossy. She looked half-dazed and disoriented. I could relate. The chemistry between us was undeniable. Urgency overwhelmed me as we stared into one another’s eyes.
“Can I add one more clause to our friendship contract?” Was I pushing my luck? Possibly. But since I’d never had to hold back what I was feeling, because I’d never really felt before, I wasn’t sure how long I’d be able to do it.
Her lips curled as a flash of hesitation lit in her deep blue eyes. “What are you proposing?”
“Pretty words.” I ran my thumb along her jaw.
“Pretty words?” she repeated as her face scrunched, making it clear that had not been the direction she thought this conversation was going.
“What did you think I was going to suggest?”
“I don’t know.” Her shoulders lifted. “Something freaky.”
“What like whips and chains? Butt stuff?”
Her head fell back and she let out a belly laugh as she said, “Yep. That’s exactly what I thought. Whips and chains and butt stuff.”
“Well, we can circle back to that, but I was just going to see if it was okay if I gave you some compliments. Strictly as a friend, mind you. I know you said that you didn’t want any pretty words, but I have some, and I’d like to share ’em.”
Her eyes narrowed. “Is this a quid-pro-quo thing where I’m going to have to come up with nice things to say about you?”
“I think it’s only fair.” I couldn’t help but smile.
She cringed and teased, “That might be tough, but I’ll do my best.”
“Fair enough. That’s all I can ask.” Her blue eyes were staring up at me expectantly. There were so many things I wanted to tell her. That she was the most beautiful woman I’d ever seen. That I couldn’t stop thinking about her. That the atmosphere changed when she walked into a room.
I wanted to wax poetic about her eyes, her hair, her lips, her body. But none of those things came to mind. As I sat staring into Reagan’s eyes, all I could think about were the three words I’d spoken to her the night before. I love you.
Since I didn’t trust myself not to blurt them out if I spoke, I gave her a brief peck before shifting back into my seat and placing my hands on the wheel. I could feel her stare boring into me expectantly. I glanced over as I put the truck in gear. “What?”